Request:
What is needed: count the lines further below that contain the word "XYZ" and give the number alone.
Input:
Entry 1:
Entry from OMol25: an isolated molecule of C4H6N2O at a distorted geometry (the ωB97M-V functional and the def2-TZVPD basis).

Structure (XYZ):
```
13
C4H6N2O (the ωB97M-V functional and the def2-TZVPD basis)
O 1.434 2.107 0.049
C 0.854 1.050 -0.006
N 1.255 -0.196 0.330
C 0.428 -1.282 -0.213
C -0.897 -0.659 -0.652
C -1.452 0.197 0.417
N -0.508 0.887 -0.473
H 2.197 -0.318 0.666
H 0.246 -2.052 0.546
H 0.947 -1.751 -1.059
H -0.831 1.340 -1.315
H -2.478 0.548 0.325
H -1.072 0.221 1.442
```

Entry 2:
Entry from OMol25: a structure of composition C31H25N11OS4Ti (the ωB97M-V functional and the def2-TZVPD basis).

Structure (XYZ):
```
73
C31H25N11OS4Ti (the ωB97M-V functional and the def2-TZVPD basis)
Ti -0.266 -0.062 0.249
C -2.725 -1.988 -4.582
N -2.324 -1.798 -3.183
C -1.547 -0.867 -2.641
N -1.405 -1.110 -1.346
C -2.146 -2.238 -1.147
N -2.717 -2.684 -2.236
C -3.309 -0.739 -5.185
C -4.680 -0.582 -5.350
C -5.189 0.597 -5.881
C -4.343 1.641 -6.217
C -2.972 1.493 -6.039
C -2.463 0.295 -5.555
C -2.049 2.599 -6.285
N -2.202 3.700 -6.929
N -1.018 4.417 -6.768
C -0.247 3.688 -6.037
O -0.830 2.513 -5.697
C 1.083 3.959 -5.497
C 1.732 5.157 -5.768
C 2.966 5.401 -5.186
C 3.541 4.468 -4.337
C 2.900 3.262 -4.073
C 3.560 2.259 -3.157
N 2.650 1.254 -2.637
C 1.690 1.435 -1.742
N 1.218 0.247 -1.362
C 1.993 -0.642 -2.059
N 2.863 -0.074 -2.845
C 1.675 3.013 -4.663
H -3.445 -2.801 -4.562
H -1.851 -2.317 -5.146
H -1.109 -0.043 -3.178
H -2.252 -2.720 -0.189
H -5.352 -1.382 -5.063
H -6.257 0.707 -6.015
H -4.730 2.576 -6.599
H -1.390 0.176 -5.464
H 1.259 5.885 -6.414
H 3.475 6.335 -5.382
H 4.493 4.683 -3.865
H 3.997 2.766 -2.292
H 4.344 1.710 -3.676
H 1.332 2.395 -1.415
H 1.908 -1.712 -1.955
H 1.159 2.083 -4.469
C 4.391 -2.973 0.475
C 3.345 -3.888 0.546
C 2.053 -3.461 0.800
C 1.800 -2.103 0.979
C 2.844 -1.190 0.931
C 4.135 -1.625 0.671
N 0.465 -1.636 1.164
N -0.242 -2.391 2.040
C -1.449 -1.895 2.179
C -2.442 -2.561 2.964
C -3.691 -2.049 3.032
C -4.002 -0.847 2.329
C -3.036 -0.242 1.600
N -1.758 -0.739 1.490
H 5.399 -3.314 0.275
H 3.539 -4.944 0.405
H 1.231 -4.161 0.867
H 2.669 -0.136 1.099
H 4.932 -0.893 0.634
H -2.151 -3.467 3.477
H -4.454 -2.545 3.618
H -4.986 -0.406 2.387
H -3.225 0.684 1.075
S -1.036 2.167 0.311
S 3.594 2.243 0.455
S 2.123 2.973 1.604
S 0.406 1.786 1.776
```

Entry 3:
Entry from OMol25: a structure of composition C24H29B2F4N7O4S2Tl (the ωB97M-V functional and the def2-TZVPD basis).

Structure (XYZ):
```
73
Properties=species:S:1:pos:R:3
Tl 1.708 -0.170 0.535
C 4.359 -4.377 0.064
C 3.367 -3.257 0.014
N 3.363 -2.267 0.819
O 4.288 -2.291 1.812
B 3.939 -1.327 2.902
F 4.946 -1.412 3.839
F 3.805 -0.037 2.356
O 2.672 -1.697 3.611
N 1.603 -1.648 2.779
C 0.546 -2.239 3.185
C 0.427 -2.916 4.515
C -0.578 -2.330 2.194
N -0.444 -1.643 1.130
O -1.410 -1.824 0.151
B -1.043 -2.837 -0.894
F -2.064 -2.771 -1.832
F -0.938 -4.103 -0.293
O 0.215 -2.556 -1.637
N 1.297 -2.463 -0.788
C 2.226 -3.317 -0.961
C 2.203 -4.395 -1.999
C -1.722 -3.245 2.496
H 5.119 -4.162 0.808
H 4.832 -4.513 -0.911
H 3.869 -5.318 0.323
H 1.243 -2.603 5.160
H 0.473 -4.002 4.405
H -0.527 -2.674 4.984
H 1.220 -4.443 -2.456
H 2.450 -5.360 -1.559
H 2.946 -4.186 -2.773
H -2.287 -2.855 3.346
H -1.357 -4.237 2.767
H -2.372 -3.331 1.634
S -1.490 0.265 -1.778
C -2.078 0.978 -3.306
S -0.757 0.217 -4.001
C -3.111 1.771 -3.664
C -3.272 2.179 -5.026
N -3.380 2.498 -6.126
C -4.044 2.243 -2.683
N -4.789 2.610 -1.888
C 2.172 3.380 -1.768
C 0.756 3.050 -2.250
C 0.512 3.622 -3.647
C -0.269 3.524 -1.244
C -0.351 4.883 -0.952
C -1.164 5.349 0.062
C -1.894 4.443 0.815
C -1.864 3.078 0.559
C -2.670 2.180 1.488
C -3.589 1.139 0.843
C -1.751 1.523 2.523
C -1.067 2.641 -0.511
N -1.046 1.252 -0.753
H 2.910 3.017 -2.486
H 2.378 2.915 -0.804
H 2.309 4.458 -1.660
H 0.696 1.965 -2.313
H 0.781 4.680 -3.689
H -0.534 3.533 -3.942
H 1.116 3.093 -4.386
H 0.258 5.576 -1.519
H -1.219 6.407 0.279
H -2.517 4.798 1.628
H -3.330 2.873 2.019
H -3.046 0.262 0.500
H -4.155 1.560 0.010
H -4.307 0.795 1.590
Here it is:
3